What to do:
Work out how many lines below have the word "energy" in them; a number is enough.
Source:
┌──
The following is a PBE calculation of a relaxed structure of CdAs, from the Alexandria database.

Values from the calculation:
energy of formation	0.19	eV per atom
energy relative to the lowest polymorph listed for this composition	0.547	eV/f.u.

Cell: 6.1370 6.1370 6.1370 Å, 90.00 90.00 90.00°
With the nearest neighbours (Å) after each atom.
Positions (direct):
1 Cd 0.0000 0.5000 0.5000  4 As 2.66
2 Cd 0.5000 0.5000 0.0000  4 As 2.66
3 Cd 0.0000 0.0000 0.0000  4 As 2.66
4 Cd 0.5000 0.0000 0.5000  4 As 2.66
5 As 0.7500 0.7500 0.2500  4 Cd 2.66
6 As 0.2500 0.2500 0.2500  4 Cd 2.66
7 As 0.2500 0.7500 0.7500  4 Cd 2.66
8 As 0.7500 0.2500 0.7500  4 Cd 2.66

* * * * *

Er2TmMg: optimized geometry, PBE-GGA. Values from VASP.

Values from the calculation:
Formation energy: 0.035 eV per atom
Polymorph energy (0 for the lowest one): 0.246 eV/f.u.
Uncorrected energy: -15.05 eV per cell

```
&SYSTEM
  ibrav = 0, nat = 4, ntyp = 3
/
ATOMIC_SPECIES
Er 167.26 Er.upf
Tm 168.93 Tm.upf
Mg 24.30 Mg.upf
ATOMIC_POSITIONS crystal
Er 0.0000 0.5000 0.0000
Er 0.5000 0.0000 0.0000
Tm 0.0000 0.0000 0.5000
Mg 0.5000 0.5000 0.5000
└──
Done:
5